So, over the past few weeks, I had to write a paper about the book that I read. A ten page paper. Now, considering the content of the book, this meant one of two things:
**Unrelated to this entry: records of crystals**
'''
10
Lattice="3.374 1.948 6.822 -3.374 1.948 6.822 0.000 -3.896 6.822" Properties=species:S:1:pos:R:3 comment="SnPS3 | the Materials Project | PBE | relaxed" ef_mev_per_atom=-605 space_group=R-3 pbc="T T T"
Sn 0.000 0.000 3.434
Sn 0.000 0.000 17.033
P 0.000 0.000 9.105
P 0.000 0.000 11.361
S -0.929 -1.720 8.500
S -1.954 -0.055 11.966
S -1.025 1.665 8.500
S 1.025 -1.665 11.966
S 1.954 0.055 8.500
S 0.929 1.720 11.966

----------

AgPO4 | PBE-GGA | relaxed

abc: 5.1079 9.7410 15.4186
angles: 95.45 99.51 105.16
Last column: nearest neighbours and their distance in Å.
Positions (direct):
Ag (0.0000, 0.0000, 0.0000)  4 O 2.05-2.11
Ag (0.0000, 0.5000, 0.5000)  4 O 2.02-2.13
Ag (0.3835, 0.2297, 0.5274)  4 O 2.07-2.25
Ag (0.3847, 0.7319, 0.0277)  4 O 2.08-2.26
Ag (0.4188, 0.7488, 0.2499)  4 O 2.14-2.31
Ag (0.5812, 0.2512, 0.7501)  4 O 2.14-2.31
Ag (0.6153, 0.2681, 0.9723)  4 O 2.08-2.26
Ag (0.6165, 0.7703, 0.4726)  4 O 2.07-2.25
P (0.1037, 0.9123, 0.3826)  4 O 1.53-1.60
P (0.1901, 0.4126, 0.8832)  4 O 1.53-1.60
P (0.3828, 0.4328, 0.3673)  4 O 1.50-1.59
P (0.4192, 0.9330, 0.8666)  4 O 1.50-1.61
P (0.5808, 0.0670, 0.1334)  4 O 1.50-1.61
P (0.6172, 0.5672, 0.6327)  4 O 1.50-1.59
P (0.8099, 0.5874, 0.1168)  4 O 1.53-1.60
P (0.8963, 0.0877, 0.6174)  4 O 1.53-1.60
O (0.0132, 0.6020, 0.2058)  1 P 1.55
O (0.0819, 0.3118, 0.9478)  1 P 1.53
O (0.0922, 0.3922, 0.3957)  1 P 1.58
O (0.1699, 0.8071, 0.4463)  1 P 1.55
O (0.1993, 0.8932, 0.2934)  1 P 1.54
O (0.2160, 0.0726, 0.4174)  1 P 1.53
O (0.2254, 0.1228, 0.6356)  1 P 1.60
O (0.2563, 0.8919, 0.9454)  1 P 1.61
O (0.2736, 0.5757, 0.9163)  1 P 1.54
O (0.2753, 0.8652, 0.7739)  1 P 1.50
O (0.3078, 0.1074, 0.1059)  1 P 1.55
O (0.3755, 0.3650, 0.2752)  1 P 1.50
O (0.4193, 0.6121, 0.5564)  1 P 1.59
O (0.4607, 0.3728, 0.8637)  1 P 1.60
O (0.4703, 0.1008, 0.8670)  1 P 1.59
O (0.4947, 0.6006, 0.3687)  1 P 1.58
O (0.5053, 0.3994, 0.6313)  1 P 1.58
O (0.5297, 0.8992, 0.1330)  1 P 1.59
O (0.5393, 0.6272, 0.1363)  1 P 1.60
O (0.5807, 0.3879, 0.4436)  1 P 1.59
O (0.6245, 0.6350, 0.7248)  1 P 1.50
O (0.6922, 0.8926, 0.8941)  1 P 1.55
O (0.7247, 0.1348, 0.2261)  1 P 1.50
O (0.7264, 0.4243, 0.0837)  1 P 1.54
O (0.7437, 0.1081, 0.0546)  1 P 1.61
O (0.7746, 0.8772, 0.3644)  1 P 1.60
O (0.7840, 0.9274, 0.5826)  1 P 1.53
O (0.8007, 0.1068, 0.7066)  1 P 1.54
O (0.8301, 0.1929, 0.5537)  1 P 1.55
O (0.9078, 0.6078, 0.6043)  1 P 1.58
O (0.9181, 0.6882, 0.0522)  1 P 1.53
O (0.9868, 0.3980, 0.7942)  1 P 1.55

Results
- total magnetization (μB per atom) = 0.000
- total energy after the MP2020 corrections (Ry per atom) = -0.4610
- crystal system = triclinic

---

Au | PBE-GGA | relaxed

abc: 2.8705 2.8705 2.8705
angles: 109.47 109.47 109.47
Last column: nearest neighbours and their distance in Å.
Positions (direct):
Au (0.0000, 0.0000, 0.0000)  8 Au 2.87

Results
- total magnetization (μB per atom) = 0.000
- offset from the most stable computed form (meV per atom) = 21.9
- crystal system = cubic

---

Gd3Si | PBE-GGA | relaxed
'''
**The records of crystals stop here**
Kidding! The only real option was ever jungle juice! So this is how my nights would go, more or less, for about 5 scattered days: 1. Open microsoft word. 2. Write a few sentences, get bored/distracted. 3. Open fridge, pour a cup of jungle juice left over from the weekend. 4. Write a couple paragraphs/pages, call it a day. I'd say that I did a pretty good job of keeping the spirit of the book going while writing. Even better, it was actually coherent! I think I'm a much more proficient reader than writer, because I tend to do it more voluntarily and therefore have more practice with it. But I have to say, I made a pretty kick-ass metaphor. Here's a taste:
"...both characters’ brains are completely overwhelmed by the massive stress of chemical bombardment. All of the necessary ingredients have been added, and they are in the oven, the near-magical place where mysterious things happen and what comes out is completely different than that which was put in."
You see, the paper mainly focused on how the characters essentially replaced all food with drugs and alcohol.
(you are what you eat)
So, I was just browsing the web looking for illustrations by Ralph Steadman that were awesome and/or relevant to a point I might want to make. I came across this site that was just littered with delicious imagery, though some of it was thoroughly disturbing. Here are nice kit-cats that have nothing to do with my paper:
The rest of that website can be found here
+++
A geometry-optimized Cu4O3 structure. Source: the Materials Project database, functional meta-GGA r2SCAN.

```
Cu4O3
1.0
-2.8953 2.8953 4.9462
2.8953 -2.8953 4.9462
2.8953 2.8953 -4.9462
Cu O
8 6
direct
0.0000 0.0000 0.0000
0.0000 0.0000 0.5000
0.0000 0.5000 0.0000
0.0000 0.5000 0.5000
0.5000 0.0000 0.0000
0.5000 0.0000 0.5000
0.5000 0.5000 0.0000
0.5000 0.5000 0.5000
0.1134 0.3634 0.7500
0.3634 0.1134 0.2500
0.3750 0.6250 0.7500
0.6250 0.3750 0.2500
0.6366 0.8866 0.7500
0.8866 0.6366 0.2500
```

=====

A geometry-optimized Cu2O structure. Source: the Materials Project database, functional meta-GGA r2SCAN.

```
Cu2O
1.0
4.2467 0.0000 0.0000
0.0000 4.2467 0.0000
0.0000 0.0000 4.2467
Cu O
4 2
direct
0.0000 0.0000 0.0000
0.0000 0.5000 0.5000
0.5000 0.0000 0.5000
0.5000 0.5000 0.0000
0.2500 0.2500 0.2500
0.7500 0.7500 0.7500
```

=====

A geometry-optimized CuP2O6 structure. Source: the Materials Project database, functional meta-GGA r2SCAN.

```
CuP2O6
1.0
6.3420 -4.0269 0.0000
6.3420 4.0269 0.0000
-4.5513 0.0000 8.3509
Cu P O
4 8 24
direct
0.0000 0.5000 0.5000
0.0543 0.9457 0.7500
0.5000 0.0000 0.0000
0.9457 0.0543 0.2500
0.2452 0.7315 0.0229
0.2685 0.7548 0.4771
0.3084 0.3178 0.3032
0.3178 0.3084 0.8032
0.6822 0.6916 0.1968
0.6916 0.6822 0.6968
0.7315 0.2452 0.5229
0.7548 0.2685 0.9771
0.0673 0.8426 0.0875
0.1264 0.3108 0.3266
0.1574 0.9327 0.4125
0.1951 0.7306 0.5915
0.2038 0.3449 0.6454
0.2484 0.4994 0.9455
0.2694 0.8049 0.9085
0.2869 0.5500 0.3327
0.3108 0.1264 0.8266
0.3449 0.2038 0.1454
0.4500 0.7131 0.1673
0.4994 0.2484 0.4455
0.5006 0.7516 0.5545
0.5500 0.2869 0.8327
0.6551 0.7962 0.8546
0.6892 0.8736 0.1734
0.7131 0.4500 0.6673
0.7306 0.1951 0.0915
0.7516 0.5006 0.0545
0.7962 0.6551 0.3546
0.8049 0.2694 0.4085
0.8426 0.0673 0.5875
0.8736 0.6892 0.6734
0.9327 0.1574 0.9125
```

=====

no.,size of the total moment (μB per cell),electronic total energy (eV for the cell shown),energy of formation (eV per atom)
1,3.955,-131.83,-0.658
2,0.000,-58.33,-0.499
3,4.000,-330.92,-2.005

=====

# 1
Below is a relaxed structure of La3Ti4O12, with properties calculated at the GGA-PBE level.

a = 5.552 Å, b = 5.552 Å, c = 7.836 Å
α = 90.00°, β = 90.00°, γ = 90.69°
Fractional coordinates of all 19 atoms:
1 La 0.257 0.743 0.000
2 La 0.256 0.744 0.500
3 La 0.750 0.250 0.000
4 Ti 0.251 0.248 0.743
5 Ti 0.251 0.248 0.257
6 Ti 0.752 0.749 0.743
7 Ti 0.752 0.749 0.257
8 O 0.999 0.001 0.801
9 O 0.999 0.001 0.199
10 O 0.006 0.508 0.764
11 O 0.006 0.508 0.236
12 O 0.223 0.205 0.500
13 O 0.299 0.290 0.000
14 O 0.492 0.994 0.764
15 O 0.492 0.994 0.236
16 O 0.482 0.518 0.721
17 O 0.482 0.518 0.279
18 O 0.710 0.701 0.000
19 O 0.795 0.777 0.500

## Properties
Size of the total moment: 0.23 μB per formula unit
Theoretical density: 5.5 g/cm3
Energy of formation from the pure elements: -3694 meV per atom



# 2
Below is a relaxed structure of LaY3Ti4O14, with properties calculated at the GGA-PBE level.

a = 7.258 Å, b = 7.258 Å, c = 7.258 Å
+++
See how easily I get distracted? That is why it took me a long time to write/drink my paper. Maybe if I add in an excerpt from my paper here, no one will notice that I completely just went on a tangent.
........
[1]
The following is a DFT calculation (PBE) of an optimized crystal structure of Na7Ga2Si3Ge2P3O24.

a = 8.7657 Å, b = 8.7697 Å, c = 21.8613 Å
α = 90.33°, β = 90.26°, γ = 119.97°
Fractional coordinates of all 123 atoms:
Na  0.0000  0.0000  0.0000
Na  0.0004  0.2608  0.4976
Na  0.0305  0.9640  0.3312
Na  0.0316  0.3300  0.8323
Na  0.3003  0.9660  0.8311
Na  0.3005  0.5958  0.3324
Na  0.3321  0.2952  0.9154
Na  0.3332  0.6602  0.6642
Na  0.3371  0.2985  0.4142
Na  0.3640  0.6252  0.9995
Na  0.3684  0.9969  0.4996
Na  0.6265  0.6288  0.4988
Na  0.6326  0.2606  0.9990
Na  0.6620  0.9624  0.0836
Na  0.6647  0.5914  0.8307
Na  0.6671  0.9588  0.5827
Na  0.6934  0.2945  0.6659
Na  0.6968  0.6611  0.1656
Na  0.9670  0.2932  0.1658
Na  0.9969  0.6336  0.7478
Na  0.9988  0.6284  0.2487
Ga  0.3250  0.2973  0.0674
Ga  0.3354  0.3016  0.5672
Ga  0.3414  0.2935  0.7636
Ga  0.6620  0.9560  0.4303
Ga  0.6696  0.9707  0.9328
Ga  0.9957  0.6207  0.8980
Si  0.0007  0.3401  0.9992
Si  0.0459  0.0039  0.1655
Si  0.2863  0.6288  0.4988
Si  0.3275  0.0040  0.6649
Si  0.3347  0.5919  0.1660
Si  0.6306  0.5935  0.6655
Si  0.6641  0.2515  0.8318
Si  0.6650  0.6654  0.3320
Si  0.9499  0.2498  0.3323
Ge  0.0032  0.6403  0.6023
Ge  0.0087  0.6332  0.1027
Ge  0.3293  0.2975  0.2672
Ge  0.6668  0.9635  0.7281
Ge  0.6688  0.9593  0.2303
Ge  0.9910  0.6162  0.3946
P  0.0405  0.2914  0.6657
P  0.2865  0.9167  0.9985
P  0.3777  0.6741  0.8322
P  0.3802  0.9677  0.3316
P  0.6162  0.2903  0.1654
P  0.7098  0.6279  0.9990
P  0.7130  0.3423  0.4989
P  0.9543  0.9630  0.8319
P  0.9994  0.9152  0.4984
O  0.0124  0.8015  0.1572
O  0.0197  0.4583  0.6590
O  0.0355  0.8326  0.4407
O  0.0422  0.4626  0.9393
O  0.1174  0.2589  0.6074
O  0.1200  0.1240  0.1053
O  0.1366  0.1304  0.8262
O  0.1492  0.2707  0.3249
O  0.1517  0.6002  0.1585
O  0.1581  0.3337  0.7232
O  0.1583  0.5920  0.4383
O  0.1588  0.8024  0.6584
O  0.1654  0.0989  0.5043
O  0.1675  0.0920  0.2268
O  0.1700  0.8393  0.9406
O  0.1759  0.3195  0.0042
O  0.1926  0.7994  0.3376
O  0.1949  0.6603  0.8367
O  0.1953  0.6650  0.5588
O  0.2015  0.7953  0.0547
O  0.2911  0.4612  0.2250
O  0.2916  0.0817  0.7266
O  0.3032  0.4512  0.5038
O  0.3103  0.1027  0.0051
O  0.3536  0.4876  0.8256
O  0.3545  0.1293  0.3246
O  0.3742  0.1269  0.6045
O  0.3811  0.5141  0.1058
O  0.4607  0.7923  0.7749
O  0.4611  0.9237  0.2759
O  0.4693  0.9301  0.9941
O  0.4808  0.8059  0.4938
O  0.4872  0.4721  0.3225
O  0.4872  0.9993  0.3908
O  0.4894  0.2729  0.8271
O  0.4949  0.7522  0.8898
O  0.5046  0.5142  0.6054
O  0.5075  0.9836  0.6729
O  0.5094  0.2609  0.1063
O  0.5118  0.7859  0.1751
O  0.5273  0.4608  0.0044
O  0.5280  0.3224  0.5031
O  0.5356  0.3331  0.2215
O  0.5491  0.4706  0.7254
O  0.6198  0.7445  0.3920
O  0.6224  0.1283  0.8916
O  0.6431  0.1294  0.1725
O  0.6435  0.7866  0.6748
O  0.6891  0.7930  0.9934
O  0.6956  0.1588  0.4932
O  0.7067  0.1619  0.7720
O  0.7077  0.7952  0.2727
O  0.7900  0.5949  0.9412
O  0.7951  0.4643  0.4427
........
# The crystal structures stop here
"There is in fact a lot of nakedness, mostly in the hotel rooms, but there is not a sexual undertone to any of it; the main meaning of it is an expression of vulnerability. The drugs have rendered the users minds susceptible to their environment’s powers of suggestions in terms of how their trip will go, good or bad, and when naked the body is similarly exposed. It would have been all too easy for Thompson to incorporate wild sexcapades into this crazy text, but I’m glad he didn’t take it in that direction."
I was really just excited to be able to use the word "sexcapades" in a meaningful way, that actually related to what I was writing. It was a first as far as using it in 'something my teacher is supposed to read'.
Seriously, though, can you even imagine what life would be like if you were jacked up on drugs 24/7? I feel like I would be much lower functioning than HST or any of the characters he writes as. They drove cars while hallucinating, without dying. I can barely drive as is! Seriously glad my boyfriend is obsessed with cars/driving. I don't think it would be a good idea to try and test out that kind of lifestyle, it seems too dangerous to apply the old 'don't knock it till you try it' mentality. Though if you are going to do a lot of drugs, you might as well do a lot of cool things, like petting grown tigers and skydiving, because you're probably going to die soon anyway. Kind of like terminally diseased people, but as a lifestyle choice.
I think that about sums it up. The title of this post is a link to the paper, in case you want to read it. And with that, I'd say this semester is officially over: no more exams or assignments! Have a good day (I know I will).